### Activity
Could you say how many lines of the contents below hold the word "Cl", as a bare number?

### Given
'''
Entry from Alexandria via LeMat-Bulk: a crystal of ReTcS2 relaxed with PBEsol (meta-GGA SCAN).

```
4
Lattice="4.156 0.000 0.000 2.078 3.600 0.000 2.078 1.200 3.394" Properties=species:S:1:pos:R:3 pbc="T T T"
Tc 0.000 0.000 0.000
S 2.078 1.200 0.848
Re 4.156 2.400 1.697
S 6.235 3.600 2.545
```

Values from the calculation:
- calculated volume (Å³/atom) = 12.693
- energy (eV per atom) = -31.05

---

Entry from Alexandria via LeMat-Bulk: a crystal of Cs2NaTlCl6 relaxed with PBEsol (meta-GGA SCAN).

```
10
Lattice="7.492 0.000 0.000 3.746 6.488 0.000 3.746 2.163 6.117" Properties=species:S:1:pos:R:3 pbc="T T T"
Cl 5.667 5.379 1.568
Cl 7.492 6.433 4.549
Cl 5.667 3.272 4.549
Cs 3.746 2.163 1.529
Tl 7.492 4.326 3.059
Cl 7.492 2.218 1.568
Cl 9.317 3.272 4.549
Na 0.000 0.000 0.000
Cs 11.238 6.488 4.588
Cl 9.317 5.379 1.568
```

Values from the calculation:
- calculated volume (Å³/atom) = 29.738
- energy (eV per atom) = -21.68

---

Entry from Alexandria via LeMat-Bulk: a crystal of HgPF2 relaxed with PBEsol (meta-GGA SCAN).

```
4
Lattice="4.276 0.000 0.000 2.138 3.703 0.000 2.138 1.234 3.491" Properties=species:S:1:pos:R:3 pbc="T T T"
P 0.000 0.000 0.000
Hg 4.276 2.469 1.746
F 6.413 3.703 2.618
F 2.138 1.234 0.873
```

Values from the calculation:
- calculated volume (Å³/atom) = 13.817
- offset from the most stable computed form (eV/atom) = 0.993
- energy (eV per atom) = -21.61

---

Entry from Alexandria via LeMat-Bulk: a crystal of Li2ScCd2 relaxed with PBEsol (meta-GGA SCAN).

```
10
Lattice="3.054 0.000 0.000 0.000 7.733 0.000 0.000 0.000 7.733" Properties=species:S:1:pos:R:3 pbc="T T T"
Cd 1.527 6.323 2.457
Sc 0.000 0.000 0.000
Cd 1.527 1.410 5.276
Cd 1.527 2.457 1.410
Li 0.000 0.910 2.957
Li 0.000 2.957 6.823
Li 0.000 6.823 4.776
Cd 1.527 5.276 6.323
Sc 0.000 3.866 3.866
Li 0.000 4.776 0.910
```

Values from the calculation:
- calculated volume (Å³/atom) = 18.262
- energy (eV per atom) = -16.22

---

Entry from Alexandria via LeMat-Bulk: a crystal of YRe2RhN relaxed with PBEsol (meta-GGA SCAN).

```
5
Lattice="4.684 0.000 0.000 0.000 4.848 0.000 0.000 0.000 4.848" Properties=species:S:1:pos:R:3 pbc="T T T"
N 2.342 2.424 2.424
Rh 2.342 0.000 0.000
Re 0.000 0.000 2.424
Y 0.000 0.000 0.000
Re 0.000 2.424 0.000
```

Values from the calculation:
- calculated volume (Å³/atom) = 22.017
- energy (eV per atom) = -38.77

---

Entry from Alexandria via LeMat-Bulk: a crystal of ZnCo2W relaxed with PBEsol (meta-GGA SCAN).

```
4
Lattice="3.752 0.000 0.000 -1.876 3.870 -0.001 0.000 -1.818 3.282" Properties=species:S:1:pos:R:3 pbc="T T T"
Co 1.876 1.481 0.820
Co 0.000 0.571 2.461
W 1.876 -0.909 1.641
Zn 0.000 0.000 0.000
```

Values from the calculation:
- calculated volume (Å³/atom) = 11.912
- energy (eV per atom) = -29.33

---

Repeat the second record exactly.
Entry from Alexandria via LeMat-Bulk: a crystal of Cs2NaTlCl6 relaxed with PBEsol (meta-GGA SCAN).

```
10
Lattice="7.492 0.000 0.000 3.746 6.488 0.000 3.746 2.163 6.117" Properties=species:S:1:pos:R:3 pbc="T T T"
Cl 5.667 5.379 1.568
Cl 7.492 6.433 4.549
Cl 5.667 3.272 4.549
Cs 3.746 2.163 1.529
Tl 7.492 4.326 3.059
Cl 7.492 2.218 1.568
Cl 9.317 3.272 4.549
Na 0.000 0.000 0.000
Cs 11.238 6.488 4.588
Cl 9.317 5.379 1.568
```

Values from the calculation:
- calculated volume (Å³/atom) = 29.738
- energy (eV per atom) = -21.68

---

Q: Which formula does entry 2 have?
A: Cs2NaTlCl6
'''

### Done
12